Can I Complete My Own Fire Risk Assessment?

By Mary McDade.
11 Apr 2019

To complete your own fire risk assessment you need to be deemed competent to be able to produce a suitable and sufficient assessment. This legislation was a major change to fire risk assessments and over 100 pieces of legislation was repealed when the Regulatory Reform Fire Safety Order (RRFSO) 2005 was introduced.

For those of you that can remember, the Fire Authority would previously provide a Fire Certificate for premises. However, for some years prior to the RRFSO coming in to force there was dual system in place whereby insurers favoured the risk assessment approach and commercial clients were obtaining the fire certificate from the Fire Service and having a fire risk assessment completed.

<<<
Molecular formula: C19H41CsSbSi3
Method: DFT, ωB97M-V with the def2-TZVPD basis set

The largest force on an atom comes out at 1.66 eV/Å. The highest occupied orbital energy is -10.509 eV. Its net charge is +1. For the LUMO energy, the calculation gives -2.81 eV. As for the orbital gap: 7.70 eV.

Each line ends with the Löwdin charge.
CARTESIAN COORDINATES (ANGSTROEM)
H1 -1.501 0.593 -4.827  0.028
H2 -2.630 -3.301 1.233  0.019
H3 5.675 1.342 5.682  0.088
H4 -2.830 -2.156 -4.987  0.016
Cs1 1.947 0.183 -1.178  0.755
H5 6.041 0.106 0.571  0.099
C1 -1.730 -4.428 -1.862  -0.229
H6 -5.007 -2.217 -2.608  0.022
H7 -5.122 0.422 -2.414  0.023
Si1 -2.730 1.102 -2.699  0.266
H8 6.774 0.015 5.297  0.083
H9 -1.143 -2.483 1.715  0.026
C2 -4.670 -0.856 0.686  -0.204
Si2 -2.800 -0.863 0.769  0.267
Sb1 -1.638 -0.885 -1.513  0.724
H10 5.147 -0.853 3.632  0.135
H11 -5.062 -0.851 1.707  0.041
Si3 -2.617 -2.967 -2.633  0.268
C3 3.815 3.941 -0.092  -0.070
H12 -5.065 0.023 0.176  0.012
H13 4.497 -0.377 1.370  0.077
H14 -4.844 -3.916 -3.057  0.039
H15 -2.206 3.525 -2.526  0.039
C4 -2.511 0.901 -4.550  -0.226
C5 -2.213 -2.885 -4.462  -0.226
C6 -4.466 -3.139 -2.388  -0.216
H16 -4.695 1.723 -1.295  0.024
H17 3.046 -0.095 4.667  0.085
C7 5.065 0.192 3.954  -0.423
H18 -5.063 -1.740 0.186  0.016
H19 4.590 4.688 -0.267  0.090
H20 6.875 0.705 2.806  0.137
C8 4.501 1.507 0.406  -0.209
C9 5.725 0.312 5.328  -0.064
H21 -2.717 1.856 -5.042  0.038
C10 5.104 0.451 1.005  -0.044
H22 -3.208 0.167 -4.956  0.021
H23 -2.403 -3.862 -4.912  0.038
H24 3.414 3.649 -1.062  0.069
H25 3.124 0.561 3.025  0.069
H26 -0.728 2.572 -2.479  0.016
H27 4.942 4.313 2.219  0.108
C11 -1.762 2.611 -2.124  -0.235
C12 -2.230 -2.394 1.690  -0.228
C13 5.044 3.251 2.065  0.014
C14 4.383 2.773 0.649  -0.274
C15 -2.212 0.684 1.657  -0.228
H28 3.481 1.595 4.404  0.089
H29 3.022 4.421 0.484  0.086
H30 -1.122 0.726 1.728  0.020
H31 -1.885 -4.482 -0.784  0.014
H32 -4.707 -3.440 -1.368  0.022
H33 -2.609 0.706 2.675  0.038
H34 -2.101 -5.359 -2.298  0.039
C16 -4.546 1.342 -2.307  -0.218
H35 -2.589 -2.360 2.722  0.038
C17 3.594 0.583 4.012  -0.063
C18 5.840 1.015 2.936  -0.137
H36 -1.749 2.699 -1.036  0.015
H37 -2.553 1.590 1.152  0.020
H38 -1.166 -2.633 -4.641  0.028
C19 5.584 2.320 2.756  -0.014
H39 5.215 -0.325 6.052  0.084
H40 -4.961 2.081 -2.998  0.039
H41 -0.655 -4.380 -2.046  0.028


Molecular formula: C19H41F3HgN2O9
Method: DFT, ωB97M-V with the def2-TZVPD basis set

The largest force on an atom comes out at 4.53 eV/Å. The highest occupied orbital energy is -2.521 eV. Its net charge is -2. For the LUMO energy, the calculation gives 0.31 eV. As for the orbital gap: 2.83 eV.

Each line ends with the Löwdin charge.
CARTESIAN COORDINATES (ANGSTROEM)
H1 -1.543 -4.339 -6.588  0.053
C1 0.804 -0.529 3.658  -0.463
C2 2.843 3.065 -2.068  -0.434
H2 -3.376 -3.257 4.160  0.053
H3 6.012 4.436 0.958  0.050
H4 1.781 0.991 5.133  0.121
H5 1.804 -2.186 4.640  0.080
H6 -3.844 -2.063 2.834  0.051
C3 -1.658 -3.694 -4.474  -0.775
>>>

One of the first prosecutions for failures under the RRFSO 2005 occurred on...

Records of molecules, as found in the file
/*
1.
Entry from OMol25: a 4-piece molecular cluster, C15H35F9O15P3S2 overall (ωB97M-V with the def2-TZVPD basis set).

Values from the calculation:
Electronic energy = -4440.40872 Eh
Kohn-Sham gap = 4.24 eV

The geometry in ORCA input format:
```
! wB97M-V def2-TZVPD RIJCOSX def2/J DEFGRID3
* xyz -1 1
O -4.2563 -0.3174 -2.9543
S -3.4361 0.7126 -2.1044
O -4.2781 1.1664 -0.8530
O -3.0484 2.1215 -2.9862
C -1.8196 -0.0468 -1.4270
C -0.9282 1.1915 -0.8361
C 0.3600 0.7682 0.0785
C 0.1080 -0.3949 1.1903
C -0.8178 0.0083 2.4775
F -1.7176 -1.1994 2.6736
F -1.8262 1.0980 2.1880
C -0.0548 0.1572 3.9035
F -1.1268 0.2925 4.9572
F 0.6127 -1.1701 4.1783
S 1.2162 1.4719 4.1066
F 1.8925 0.5406 5.4236
F 0.1831 2.2104 5.3084
F 0.5984 2.5147 2.9117
F 2.3779 0.7472 3.0842
F 2.3740 2.6784 4.4787
H -1.3204 -0.6559 -2.2923
H -2.1825 -0.7548 -0.5371
H -0.4872 1.7651 -1.7860
H -1.5363 2.0039 -0.2391
H 1.1713 0.3323 -0.6826
H 0.8353 1.7673 0.4845
H 1.1824 -0.8294 1.4789
H -0.4144 -1.3037 0.6168
C 4.3505 4.5008 1.9877
O 3.3463 5.4368 1.6609
P 3.7485 6.9942 1.6790
O 5.0693 7.3199 2.3072
O 2.4801 7.6904 2.3844
C 2.2533 7.3568 3.7380
O 3.5979 7.4270 0.1365
C 3.9618 8.7520 -0.1928
H 4.4101 4.4017 3.0759
H 4.0830 3.5330 1.5583
H 5.3231 4.8028 1.5881
H 3.1852 7.4003 4.3108
H 1.8271 6.3517 3.8040
H 1.5444 8.0710 4.1640
H 5.0475 8.8128 -0.3092
H 3.6328 9.4540 0.5789
H 3.4875 9.0216 -1.1383
C 1.0667 -3.8171 4.6746
O 1.6423 -4.5509 3.6156
P 2.1824 -6.0300 3.9445
O 2.2754 -6.3826 5.3978
O 3.5796 -6.0938 3.1478
C 4.5987 -5.2253 3.5975
O 1.2148 -6.9733 3.0709
C 1.3920 -8.3686 3.2063
H 1.8605 -3.3255 5.2454
H 0.4069 -3.0540 4.2564
H 0.4793 -4.4623 5.3344
H 4.6842 -5.2578 4.6884
H 4.3812 -4.2030 3.2754
H 5.5495 -5.5399 3.1602
H 0.8747 -8.7154 4.1053
H 2.4532 -8.6266 3.2677
H 0.9597 -8.8635 2.3346
C -7.4300 -2.6061 -7.6655
O -6.4056 -1.6781 -7.9497
P -4.8854 -2.1910 -7.8327
O -4.6945 -3.5200 -7.1676
O -4.1411 -0.9633 -7.1047
C -4.5362 -0.6882 -5.7769
O -4.3530 -2.1004 -9.3484
C -3.0410 -2.5647 -9.5926
H -7.5969 -2.6383 -6.5844
H -8.3487 -2.2774 -8.1558
H -7.1768 -3.6050 -8.0326
H -4.5945 -1.6101 -5.1895
H -5.5097 -0.1896 -5.7772
H -3.7984 -0.0249 -5.3189
H -3.0529 -3.6539 -9.6899
H -2.3634 -2.2730 -8.7849
H -2.6825 -2.1286 -10.5269
*
```

Löwdin atomic charge list, values in e, 5 entries: number 1, O, carries -0.4674; number 2, S, carries 0.6585; number 3, O, carries -0.4781; number 4, O, carries -0.5280; number 5, C, carries -0.2540

***

2.
Entry from OMol25: C15H35HgN6O8 as an isolated structure (ωB97M-V with the def2-TZVPD basis set).

Values from the calculation:
Electronic energy = -1675.88982 Eh
Kohn-Sham gap = 1.70 eV

The geometry in ORCA input format:
```
! wB97M-V def2-TZVPD RIJCOSX def2/J DEFGRID3
* xyz 1 1
Hg 3.0771 -4.2409 -1.1025
N 0.6181 -2.0397 -0.2823
O 0.8510 -0.9775 0.3381
O -0.4026 -2.2691 -0.8758
O 1.3255 -2.9977 0.0060
C -1.5579 2.3671 -1.7939
C -1.9273 2.5800 -0.3182
O -2.2122 3.6943 0.1512
N -1.8558 1.4532 0.4555
C -1.9686 1.3560 1.9032
H -2.4409 2.0306 -2.3372
*/

8th July 2011

An external fire risk assessor and a hotel manager were both jailed for eight months for fire safety offences.

David Liu, who ran The Dial Hotel and Market Inn, both in Mansfield, had previously pleaded guilty to 15 offences under the Regulatory Reform (Fire Safety) Order 2005, while John O’Rourke of Mansfield Fire Protection Services pleaded guilty to two offences under the legislation.

Sentencing the two defendants at Nottingham Crown Court, the judge said that the time had come to send out a message to those who conduct fire risk assessments, and to hoteliers who are prepared to put profit before safety.

Officers from Nottingham Fire and Rescue Service visited both hotels as part of a routine inspection. They found that both premises were being used to provide sleeping accommodation on the upper floors and that fire precautions, which should have been provided to safeguard the occupants in the event of a fire, were inadequate.

Due to the serious risk to life, they issued prohibition notices preventing any further use of both premises for sleeping accommodation until suitable improvements had been made.

Mr O’Rourke was prosecuted because he had prepared fire risk assessments for both premises. However the fire risk assessments failed to identify a number of significant deficiencies, said the prosecution, which would have placed the occupants at serious risk in the event of a fire.

What offences did he commit?

The offences common to both hotels to which Mr Liu, as the responsible person, pleaded guilty were:

  • A lack of a suitable and sufficient fire risk assessment
  • A failure to ensure effective means of escape with doors leading onto corridors not being fire resisting or having self-closers fitted
  • A failure to ensure that emergency routes and exits were provided with emergency lighting
  • A failure to ensure the premises were equipped with appropriate firefighting equipment, detectors and alarms in that there was no fire detection within the bedrooms
  • A failure to ensure that equipment and devices provided were subject to a suitable system of maintenance in that the fire alarm system, emergency lighting system and firefighting equipment were not tested.

In addition at the Dial Hotel, officers found both staircases from upper levels terminating in the same ground floor area with no alternative escape routes or separation, a locked fire exit door, and exit routes obstructed by combustible materials.

The other offence at the Market Inn related to a missing fire door and a window not being fire resisting.

The price...

Mr Liu was also ordered to pay costs of £15,000.

John O’Rourke, as a person other than the responsible person who had some control of the premises, pleaded guilty to two counts (one for each hotel) of failing to provide a suitable and sufficient fire risk assessment. He was ordered to pay costs of £5,860.

The article above was prior to the increased sentencing guidelines and we would anticipate fines to be much higher today.

So, while it is possible to conduct a fire risk assessment of your own accord, the consequences of slipping up can be dire and costly.

Get the support of an expert

Croner's health & safety experts know exactly what to look for when conducting a risk assessment- fire or otherwise- speak to them today to ensure your workplace remains safe and fire free, on 01455 858 132.

# Quantum chemistry results that have nothing to do with the page
/*
ORCA calculation (wB97M-V/def2-TZVPD) on C23H25NNa as an isolated structure at a distorted geometry.

```
! wB97M-V def2-TZVPD RIJCOSX def2/J DEFGRID3
* xyz 1 1
C -5.8068 -1.7130 -0.9720
C -5.5608 -0.2299 -1.2439
C -4.5005 0.3735 -0.3361
N -3.2862 -0.4461 -0.2564
C -2.1042 0.1558 -0.2198
C -0.8566 -0.5046 -0.2113
C 0.2744 0.1635 -0.6433
C 1.5290 -0.5113 -0.9067
C 2.2577 -0.2498 -2.0889
C 3.4409 -0.9414 -2.3550
C 4.0045 -1.7705 -1.3751
C 3.3006 -2.0087 -0.1882
C 2.0645 -1.4084 0.0345
C -3.4883 -1.8536 0.0817
C -4.5164 -2.5239 -0.8309
H -6.3737 -1.8030 -0.0358
H -6.4228 -2.1370 -1.7720
H -5.2613 -0.0879 -2.2897
H -6.4875 0.3326 -1.1024
H -4.2065 1.3601 -0.7103
H -4.8984 0.4850 0.6837
H -2.1214 1.2529 -0.3260
H -0.8079 -1.5698 0.0339
H 0.1527 1.1761 -1.0384
H 1.8289 0.4486 -2.8226
H 3.9401 -0.8115 -3.3226
H 4.9630 -2.2681 -1.5551
H 3.7141 -2.6697 0.5778
H 1.5090 -1.5806 0.9624
H -2.5424 -2.4053 0.0372
H -3.8602 -1.9040 1.1202
H -4.7381 -3.5182 -0.4227
H -4.0639 -2.6817 -1.8188
C 2.1602 0.8296 3.2634
Na 4.3941 1.0586 -1.2051
C 0.8124 0.9445 2.8437
C 0.7901 1.6608 1.6171
C 2.1196 2.0598 1.2801
C 2.9999 1.4878 2.2873
C 4.3779 1.6793 2.1674
C 4.8773 2.4946 1.1459
C 4.0131 3.0986 0.2051
C 2.6473 2.7940 0.2090
H 2.5233 0.3261 4.1590
H -0.0639 0.5547 3.3648
H -0.0911 1.9808 1.0692
H 5.0307 1.2213 2.9155
H 5.9485 2.7115 1.0989
H 4.4167 3.7925 -0.5418
H 1.9685 3.1553 -0.5668
*
```

Results
E: -1108.227325 Ha
LUMO energy: -4.087 eV
HOMO energy: -8.7 eV
Kohn-Sham gap: 0.1678 Ha

* * * * *

The following is a quantum chemistry calculation of 2 unconnected molecules or ions with the total composition C10H16O in a non-equilibrium geometry, from OMol25.

Calculated values
SMILES = Cc1ccc(O)cc1.CCC
E_tot = -465.8141 a.u.
ΔE to the lowest compared entry with this formula, charge and spin = 52.5 kcal/mol
Kohn-Sham gap = 9.16 eV

The geometry in XYZ format:
```
27
Properties=species:S:1:pos:R:3:lowdin_charge:R:1
C 0.2299 1.6712 -2.2615 -0.29
C -0.0316 0.2066 -1.9090 -0.13
C -0.9959 2.5678 -1.7420 -0.11
H 1.0726 2.1992 -1.8456 0.08
H 0.2097 1.9064 -3.3554 0.10
H -0.9071 -0.1090 -2.4871 0.08
H -0.1227 0.1670 -0.8163 0.05
H -1.5501 1.7636 -1.1205 0.07
H -0.6443 3.3850 -1.0952 0.06
H 0.6505 -0.4997 -2.3562 0.06
H -1.8095 2.7907 -2.4249 0.05
C -2.0824 -0.8839 2.2687 -0.06
C 0.1717 -0.0151 1.9593 -0.05
C -0.7273 -1.0703 1.6128 -0.29
C 1.5137 -0.1232 1.6021 -0.02
C -0.2438 -2.1212 0.8373 -0.05
C 1.9652 -1.1116 0.7034 -0.34
C 1.0885 -2.1258 0.4123 -0.05
O 3.2201 -0.7698 0.2962 0.05
H -0.1023 0.8800 2.4781 0.10
H 2.1765 0.7276 1.7910 0.12
H -2.3446 0.1880 2.1762 0.08
H -1.9425 -1.0350 3.3541 0.09
H -1.0730 -2.6670 0.3840 0.12
H 1.5397 -2.9658 -0.1058 0.11
H 3.6250 -1.4394 -0.2723 0.11
H -2.8860 -1.5162 1.9162 0.07
```


The following is a quantum chemistry calculation of a molecular structure, C32H41Br30IN2O2 in a non-equilibrium geometry, from OMol25.

Calculated values
E_tot = -79021.7394 a.u.
Kohn-Sham gap = 8.39 eV

The geometry in XYZ format:
```
108
*/
# End of the quantum chemistry results

About the Author

Mary McDade

Mary works on our health and safety advice line, and is working towards her NVQ level 6 in Occupational Health and Safety Practice.